Tell Me - Ashe Barker Page 0,35

was content to leave his further enquiries until the following day, observing that no one would be going anywhere, and he wanted to study the details in more depth himself first.

Tony had dragged his phone from his pocket and found Thea on speed dial.

That had been a few hours ago. After talking to her and convincing her to take the rest of the day off he’d spent the rest of the afternoon on the phone to his finance staff, asking them to return to work the next morning. Just before five o’clock he took a call from Shirley Reece who had no doubt been alerted by the finance grapevine that most of her colleagues had been reinstated. She apologised, said she had been out shopping and must have missed his call earlier, and asked what time she should come in the next morning.

“That’s quite alright, Mrs Reece. Thank you for calling. But we won't be requiring you back at work tomorrow.”

“Oh. When then?”

“We’ll be in touch soon.”

“Am I still being paid? I want my money. It’s not my fault. None of this is my doing.”

“None of what. Mrs Reece?”

“This. Whatever. I don't know. But there must be something up, else you’d not be carrying on like this. Just don't be trying to pin it on me, that’s all.”

“I can confirm that you are still on full pay, Mrs Reece. And we’ll be in touch with you in the coming days. Goodbye.”

He replaced the receiver. Such remaining doubts as he might have been clinging to—and those were slender enough—now dissolved. In his experience people never denied something they had not been accused of, unless they’d done it. Shirley Reece was in a lot of bother.

And he had a lovely submissive waiting for him at home, but first he had a couple of errands to see to on the way there.

Tony pulled up in his driveway alongside Thea’s car. He glanced up at the windows but saw no face watching for him. A good sign. The dining room was on the other side of the house. He picked up the carrier bag containing a takeaway selection of Chinese dishes and mounted the steps up to the front door to let himself in.

Silence. He put his briefcase down on the floor in the hall and sauntered along the polished wood floor. The dining room door was closed, but he knew she was there as surely as if the solid ash panel was made of glass. He carried on along the hallway to the kitchen where he deposited his carrier bag. His footsteps echoed in the quiet hallway as he strode back to the dining room. He turned the handle and pushed the door open.

== Records of crystals, as found in the file ==
____________
1:
A plane-wave DFT calculation with r2SCAN was carried out for a relaxed structure of Y2WO6.

Cell lengths 5.224, 9.060, 9.908 Å; angles 90.00, 90.00, 90.00 degrees
Positions (direct):
1 Y 0.019 0.103 0.466
2 Y 0.038 0.219 0.871
3 Y 0.462 0.781 0.371
4 Y 0.481 0.897 0.966
5 Y 0.519 0.397 0.534
6 Y 0.538 0.281 0.129
7 Y 0.962 0.719 0.629
8 Y 0.981 0.603 0.034
9 W 0.039 0.495 0.347
10 W 0.461 0.505 0.847
11 W 0.539 0.005 0.653
12 W 0.961 0.995 0.153
13 O 0.084 0.844 0.031
14 O 0.175 0.953 0.297
15 O 0.182 0.637 0.819
16 O 0.193 0.640 0.236
17 O 0.232 0.113 0.068
18 O 0.247 0.590 0.494
19 O 0.253 0.410 0.994
20 O 0.268 0.887 0.568
21 O 0.307 0.360 0.736
22 O 0.318 0.363 0.319
23 O 0.325 0.047 0.797
24 O 0.416 0.156 0.531
25 O 0.584 0.656 0.969
26 O 0.675 0.547 0.703
27 O 0.682 0.863 0.181
28 O 0.693 0.860 0.764
29 O 0.732 0.387 0.932
30 O 0.747 0.910 0.506
31 O 0.753 0.090 0.006
32 O 0.768 0.613 0.432
33 O 0.807 0.140 0.264
34 O 0.818 0.137 0.681
35 O 0.825 0.453 0.203
36 O 0.916 0.344 0.469

Properties
Total magnetic moment: 0.0 μB/f.u.

***

2:
A plane-wave DFT calculation with r2SCAN was carried out for a relaxed structure of Y2WO6.

Cell lengths 7.631, 5.345, 11.371 Å; angles 90.00, 104.51, 90.00 degrees
Positions (direct):
1 Y 0.000 0.183 0.250
2 Y 0.000 0.817 0.750
3 Y 0.297 0.313 0.922
4 Y 0.297 0.687 0.422
5 Y 0.500 0.239 0.250
6 Y 0.500 0.761 0.750
7 Y 0.703 0.313 0.578
8 Y 0.703 0.687 0.078
9 W 0.222 0.246 0.614
10 W 0.222 0.754 0.114
11 W 0.778 0.246 0.886
12 W 0.778 0.754 0.386
13 O 0.010 0.143 0.887
14 O 0.010 0.857 0.387
15 O 0.134 0.346 0.452
16 O 0.134 0.654 0.952
17 O 0.211 0.485 0.228
18 O 0.211 0.515 0.728
19 O 0.287 0.039 0.772
20 O 0.287 0.961 0.272
21 O 0.350 0.026 0.070
22 O 0.350 0.974 0.570
23 O 0.437 0.460 0.604
24 O 0.437 0.540 0.104
25 O 0.563 0.460 0.896
26 O 0.563 0.540 0.396
27 O 0.650 0.026 0.430
28 O 0.650 0.974 0.930
29 O 0.713 0.039 0.728
30 O 0.713 0.961 0.228
31 O 0.789 0.485 0.272
32 O 0.789 0.515 0.772
33 O 0.866 0.346 0.048
34 O 0.866 0.654 0.548
35 O 0.990 0.143 0.613
36 O 0.990 0.857 0.113

Properties
Total magnetic moment: 0.0 μB/f.u.

***

What is the stability order? It is 2, 1, from most stable to least stable.

***

1:
A plane-wave DFT calculation with r2SCAN was carried out for a relaxed structure of YbO3.

Cell lengths 3.885, 3.660, 6.289 Å; angles 90.00, 101.78, 90.00 degrees
Positions (direct):
1 Yb 0.199 0.250 0.322
2 Yb 0.801 0.750 0.678
3 O 0.219 0.250 0.899
4 O 0.252 0.750 0.522
5 O 0.464 0.750 0.151
6 O 0.536 0.250 0.849
7 O 0.748 0.250 0.478
8 O 0.781 0.750 0.101

Properties
Total magnetic moment: 1.0 μB/f.u.

***

2:
A plane-wave DFT calculation with r2SCAN was carried out for a relaxed structure of YbO3.

Cell lengths 4.512, 4.512, 4.583 Å; angles 90.00, 90.00, 120.00 degrees
Positions (direct):
1 Yb 0.333 0.667 0.250
2 Yb 0.667 0.333 0.750
3 O 0.179 0.359 0.750
4 O 0.179 0.821 0.750
5 O 0.359 0.179 0.250
6 O 0.641 0.821 0.750
7 O 0.821 0.179 0.250
8 O 0.821 0.641 0.250

Properties
____________

Thea knelt on the floor, her back to him. She was naked, her slender back ramrod straight. Even so, her posture looked relaxed, practised. She was at ease in and with herself, and this pleased him. He didn't speak, but of course she was aware of his presence. He saw that in the slight tilt of her chin, the almost imperceptible clench of her fingers as they rested on her thighs.

He walked past her and sat on the sofa. Her head was bowed but he knew she watched him, her eyes following him as he moved. He removed his suit jacket and draped it across the seat next to him, then he loosened his tie. His cuffs were next. He unfastened them and rolled back his shirt sleeves, then he leaned back.

“Do you feel rested now, Thea?”

“Yes, Sir. Very. I had a bath too. I feel very pampered.”

“You earned it. So, Thea, how would you like to spend the evening?”

“With you, Sir.”

“Yet you offered to return to your apartment. Why?”

“You said you like to live alone, Sir. I don’t want to crowd you, if you need your space.”

“I have plenty of space here, whether you’re in the house or not.”

“Yes, Sir. I can see that.”

“So, just to make sure there’s no misunderstanding between us on this matter, you’re welcome to stay here as often as you like. You can sleep here every night if you want to.”

“In your bed, Sir.”

“Of course.”

“What about my apartment?”

“Keep it. Sub-let it if you want. Or you might want to sleep there sometimes too. I’m not the only one who said they like to live alone.”

“Thank you, Sir.”

“Why are you thanking me, Thea?”

“For being nice, Sir.”

Tony chuckled. “I wonder if you’ll still feel like thanking me when I have you tied to my bed and Copyright 2016 - 2024